The ultimate PR & Marketing guide for IT companies 

The ultimate PR & Marketing guide for IT companies 


A press release is a short yet informative briefing on any event, related to your product or service. It is vital for IT businesses, as it can serve as the information source available for many people at the same time, allowing you to inform the relevant community about your business news, new partnerships and product/service launches.

Tips and tricks for a good press release

1. Title is key

Before choosing to read your press release, the audience and the publicists have to be attracted to it, and this is done by scanning the subject lines. So what should a good title look like?

  • The title needs to be short and inviting
  • Has to have main keywords that are relevant to your business
  • Subject language and words have to be simply understandable – you never know who the reader may be
  • Eye-catching and educational/unique

_Between two parts of the piece: calculated crystals_
********
# 1
Li7Mn4CoO12: simulated X-ray diffraction stick pattern (Cu Kα, 1.54184 Å), based on a structure optimized by DFT (GGA+U).

Atomic structure:
```
Li7Mn4CoO12
1.0
4.862 -4.302 0.000
4.862 4.302 0.000
-0.688 0.000 5.200
Li Mn Co O
7 4 1 12
Direct
0.000 0.000 0.000 Li
0.085 0.415 0.256 Li
0.244 0.237 0.762 Li
0.420 0.087 0.256 Li
0.585 0.915 0.744 Li
0.763 0.756 0.238 Li
0.913 0.580 0.744 Li
0.167 0.833 0.500 Mn
0.334 0.666 0.000 Mn
0.503 0.497 0.500 Mn
0.836 0.164 0.500 Mn
0.670 0.330 0.000 Co
0.069 0.715 0.154 O
0.118 0.114 0.399 O
0.217 0.550 0.608 O
0.285 0.931 0.846 O
0.387 0.378 0.106 O
0.450 0.783 0.392 O
0.556 0.214 0.613 O
0.622 0.613 0.894 O
0.720 0.068 0.152 O
0.786 0.444 0.387 O
0.886 0.882 0.601 O
0.932 0.280 0.848 O
```

Principal peaks in the range 2θ from 10° to 80°, sorted by position:
13.80 deg, intensity 13; 18.41 deg, intensity 100; 34.49 deg, intensity 17; 36.39 deg, intensity 23; 41.57 deg, intensity 34; 44.35 deg, intensity 56; 47.33 deg, intensity 9; 58.48 deg, intensity 9; 62.24 deg, intensity 16; 62.57 deg, intensity 16; 64.00 deg, intensity 7; 65.04 deg, intensity 8

# 2
Li7Mn2Co3O12: simulated X-ray diffraction stick pattern (Cu Kα, 1.54184 Å), based on a structure optimized by DFT (GGA+U).

Atomic structure:
```
Li7Mn2Co3O12
1.0
5.052 0.000 0.000
0.000 8.676 0.000
-1.690 0.000 4.795
Li Mn Co O
7 2 3 12
Direct
0.000 0.000 0.000 Li
0.000 0.153 0.500 Li
0.000 0.494 0.500 Li
0.000 0.844 0.500 Li
0.500 0.005 0.500 Li
0.500 0.322 0.500 Li
0.500 0.667 0.500 Li
0.500 0.495 0.000 Mn
0.500 0.838 0.000 Mn
0.000 0.314 0.000 Co
0.000 0.673 0.000 Co
0.500 0.162 0.000 Co
0.249 0.498 0.217 O
0.256 0.169 0.228 O
0.257 0.825 0.224 O
0.269 0.663 0.773 O
0.271 0.333 0.775 O
0.279 0.996 0.773 O
0.721 0.996 0.227 O
0.729 0.333 0.225 O
0.731 0.663 0.227 O
0.743 0.825 0.776 O
0.744 0.169 0.772 O
0.751 0.498 0.783 O
```

Principal peaks in the range 2θ from 10° to 80°, sorted by position:
10.20 deg, intensity 8; 18.50 deg, intensity 100; 27.77 deg, intensity 8; 36.10 deg, intensity 13; 36.34 deg, intensity 25; 43.77 deg, intensity 28; 44.01 deg, intensity 55; 48.09 deg, intensity 8; 58.02 deg, intensity 10; 63.61 deg, intensity 22; 63.98 deg, intensity 15; 67.23 deg, intensity 9

# 3
Li7Mn2Co3O12: simulated X-ray diffraction stick pattern (Cu Kα, 1.54184 Å), based on a structure optimized by DFT (GGA+U).

Atomic structure:
```
Li7Mn2Co3O12
1.0
4.989 0.000 0.000
1.651 5.659 0.000
1.558 1.087 7.584
Li Mn Co O
7 2 3 12
Direct
0.000 0.000 0.000 Li
0.000 0.500 0.000 Li
0.005 0.164 0.318 Li
0.484 0.668 0.841 Li
0.500 0.000 0.500 Li
0.516 0.332 0.159 Li
0.995 0.836 0.682 Li
0.003 0.665 0.329 Mn
0.997 0.335 0.671 Mn
0.494 0.161 0.844 Co
0.500 0.500 0.500 Co
0.506 0.839 0.156 Co
0.232 0.491 0.746 O
0.238 0.355 0.433 O
0.241 0.035 0.742 O
0.250 0.667 0.109 O
0.252 0.803 0.417 O
0.278 0.159 0.083 O
0.722 0.841 0.917 O
0.748 0.197 0.583 O
0.750 0.333 0.891 O
0.759 0.965 0.258 O
0.762 0.645 0.567 O
0.768 0.509 0.254 O
```
********

2. Content

A lot of people imagine that pitching and writing press releases require a lot of effort. However, the secret behind any successful press release or pitch is probably unexpected: keep it simple.

Misplaced data records:
/*
# 1
Diffraction record for Dy2Ho3Hg6. The PXRD pattern is calculated, not measured: it uses DFT lattice parameters and positions (GGA-PBE) and CuKα.

Principal peaks in the range 2θ from 10° to 80°, by angle:
| 2theta | I (rel.) | hkl |
| --- | --- | --- |
| 20.14 | 17 | 0 0 6 |
| 25.76 | 49 | 1 1 2 |
| 32.18 | 15 | 1 1 6 |
| 35.43 | 61 | 2 0 0 |
| 36.97 | 100 | 1 1 8 |
| 49.81 | 11 | 2 0 10 |
| 50.98 | 22 | 2 2 0 |
| 57.98 | 11 | 3 1 2 |
| 64.63 | 40 | 3 1 8 |
| 67.62 | 13 | 2 0 16 |

Structural model:
a = 5.067 Å, b = 5.067 Å, c = 26.480 Å
α = 90.00°, β = 90.00°, γ = 90.00°
Space group I4/mmm (No. 139)
Symmetry-distinct sites (fractional):
Dy1 0.000 0.000 0.130 (multiplicity 4)
Ho1 0.000 0.000 0.363 (multiplicity 4)
Ho2 0.000 0.000 0.500 (multiplicity 2)
Hg1 0.000 0.000 0.246 (multiplicity 4)
Hg2 0.000 0.500 0.066 (multiplicity 8)

***

# 2
Diffraction record for Np2NiSe3. The PXRD pattern is calculated, not measured: it uses DFT lattice parameters and positions (GGA-PBE) and CuKα.

Principal peaks in the range 2θ from 10° to 80°, by angle:
| 2theta | I (rel.) | hkl |
| --- | --- | --- |
| 21.86 | 97 | 2 0 2 |
| 28.24 | 37 | 0 0 4 |
| 31.09 | 47 | 0 1 3 |
| 31.63 | 37 | 2 1 2 |
| 32.24 | 100 | 1 1 3 |
| 34.81 | 32 | 3 1 1 |
| 35.49 | 72 | 2 1 3 |
| 45.96 | 34 | 2 1 5 |
| 46.11 | 47 | 0 2 0 |
| 46.37 | 34 | 2 0 6 |

Structural model:
a = 10.623 Å, b = 3.937 Å, c = 12.638 Å
α = 90.00°, β = 90.00°, γ = 90.00°
Space group Pnma (No. 62)
Symmetry-distinct sites (fractional):
Np1 0.018 0.250 0.232 (multiplicity 4)
Np2 0.208 0.750 0.499 (multiplicity 4)
Ni1 0.232 0.250 0.724 (multiplicity 4)
Se1 0.050 0.250 0.612 (multiplicity 4)
Se2 0.111 0.750 0.089 (multiplicity 4)
Se3 0.242 0.750 0.831 (multiplicity 4)

***

# 3
Diffraction record for Tc2Rh5. The PXRD pattern is calculated, not measured: it uses DFT lattice parameters and positions (GGA-PBE) and CuKα.

Principal peaks in the range 2θ from 10° to 80°, by angle:
| 2theta | I (rel.) | hkl |
| --- | --- | --- |
| 31.94 | 24 | 3 1 0 |
| 33.27 | 25 | 0 0 1 |
| 39.15 | 29 | 2 0 1 |
| 40.50 | 58 | 2 1 1 |
| 42.04 | 100 | 4 1 0 |
| 43.32 | 42 | 3 3 0 |
| 44.36 | 26 | 2 2 1 |
| 46.79 | 66 | 3 1 1 |
| 50.26 | 33 | 3 2 1 |
| 76.67 | 18 | 6 2 1 |

Structural model:
a = 8.861 Å, b = 8.861 Å, c = 2.693 Å
α = 90.00°, β = 90.00°, γ = 90.00°
Space group P4/mbm (No. 127)
Symmetry-distinct sites (fractional):
Tc1 0.184 0.316 0.000 (multiplicity 4)
Rh1 0.000 0.500 0.500 (multiplicity 2)
Rh2 0.058 0.796 0.500 (multiplicity 8)

***

# 4
Diffraction record for Na2PtCl4. The PXRD pattern is calculated, not measured: it uses DFT lattice parameters and positions (GGA-PBE) and CuKα.

Principal peaks in the range 2θ from 10° to 80°, by angle:
| 2theta | I (rel.) | hkl |
| --- | --- | --- |
| 17.52 | 100 | 1 0 1 |
| 18.41 | 22 | 1 1 0 |
| 23.54 | 27 | 0 0 2 |
| 30.05 | 39 | 1 1 2 |
| 31.65 | 39 | 2 1 1 |
| 37.32 | 27 | 2 2 0 |
| 38.07 | 14 | 1 0 3 |
| 44.59 | 18 | 2 2 2 |
| 48.63 | 20 | 3 1 2 |
| 49.72 | 16 | 3 2 1 |
*/
End of the data records:

  • The first 4-5 lines are the most important
  • The whole press release shouldn’t be longer than 800 words, because audiences tend to not read information about one subject that’s longer than that
  • Use the timeless who-what-when-where-why scheme.
  • Make sure there is a focus on only one event or one launch, or partnership per press release:
    • If you have several exciting things coming out: time them and create several press releases (this gives you the opportunity to run several marketing campaigns!)
  • Quotes of relevant company people, such as CEO or the manager of the project, always make the press releases more interesting
  • Include hard numbers – it’s easy to get lost in the creatives, but hard numbers always catch the eye
  • Try to add a link to your company website in the release. This will improve your SEO score.
  • Try getting an external opinion for your draft version (you may be affected by biases of your work)
  • Make sure it’s all grammatically flawless

3. Design

It is important to stick to the standard design of the press release, as not only will it give you more chances to get published, as the publication will be easier, but it will also look more professional.

  • When sending an email with your press release pitch, is usually has a standard Word file document with the text, as well as all pictures/logos attached as separate files
    • The same content should be copied into the email text
  • Use pictures or infographics if relevant – this way the audience will remember the information better
    • Make sure you let the publishers know that they can use those for publishing purposes without copyright restrictions
  • Keep it simple and modern, the reader should be attracted to the text at first.
  • Don’t forget to include the logo of relevant company/companies!
  • Always end with ###, it signs the end of the press release. This way you are demonstrating your awareness about the processes of press releases.

4. Distribution choices

Attached: data records:
=====
The following is a computed powder X-ray diffraction pattern of Na3Zn. It was derived from a structure optimized by DFT (GGA-PBE), using CuKα.
Lines closer than 0.1° are merged.

Atomic structure:
abc: 7.0458 7.0458 5.4456
angles: 90.00 90.00 120.00
Space group P6_3/mmc (No. 194)
Unique sites:
Na: 0.1731 0.3462 0.2500 [6 per cell]
Zn: 0.3333 0.6667 0.7500 [2 per cell]

Principal peaks in the range 10° ≤ 2θ ≤ 90°, most intense first:
- 33.67°, I 100
- 21.88°, I 28
- 29.27°, I 24
- 32.89°, I 24
- 62.83°, I 19
- 51.91°, I 19
- 44.59°, I 18
- 59.23°, I 18

The following is a computed powder X-ray diffraction pattern of Na3Zn. It was derived from a structure optimized by DFT (GGA-PBE), using CuKα.
Lines closer than 0.1° are merged.

Atomic structure:
abc: 4.8191 4.8191 10.0323
angles: 90.00 90.00 90.00
Space group I4/mmm (No. 139)
Unique sites:
Na: 0.0000 0.0000 0.0000 [2 per cell]
Na: 0.0000 0.5000 0.2500 [4 per cell]
Zn: 0.0000 0.0000 0.5000 [2 per cell]

Principal peaks in the range 10° ≤ 2θ ≤ 90°, most intense first:
- 31.75°, I 100
- 37.32°, I 32
- 20.44°, I 31
- 63.84°, I 23
- 52.68°, I 22
- 35.80°, I 18
- 61.80°, I 13
- 17.68°, I 11

The following is a computed powder X-ray diffraction pattern of Na3Zn. It was derived from a structure optimized by DFT (GGA-PBE), using CuKα.
Lines closer than 0.1° are merged.

Atomic structure:
abc: 4.8617 4.8617 4.8617
angles: 90.00 90.00 90.00
Space group Pm-3m (No. 221)
Unique sites:
Na: 0.0000 0.0000 0.5000 [3 per cell]
Zn: 0.5000 0.5000 0.5000 [1 per cell]

Principal peaks in the range 10° ≤ 2θ ≤ 90°, most intense first:
- 31.88°, I 100
- 36.98°, I 50
- 63.46°, I 36
- 53.30°, I 32
- 18.25°, I 31
- 25.92°, I 27
- 41.53°, I 15
- 87.45°, I 13

~~~~~

This entry pairs a crystal structure of Gd4Fe34C3 with its theoretical X-ray powder pattern. Radiation: Cu Kα (λ = 1.5418 Å). Structure: a PBE-relaxed structure.
No peak broadening, texture or thermal motion is included.

Largest 12 diffraction maxima, by intensity, 10° ≤ 2θ ≤ 90°:
2θ/deg	intensity
42.55	100
41.90	97
43.98	83
37.82	65
42.46	65
30.00	58
36.20	56
42.12	47
42.32	34
43.52	30
36.01	27
30.08	26

Structure:
```
Gd4Fe34C3
1.0
6.4423 0.0000 0.0000
0.7087 6.4370 0.0000
1.4657 1.2436 12.7528
Gd Fe C
4 34 3
Direct
0.1505 0.1642 0.0763 Gd
0.1618 0.1599 0.5736 Gd
0.8382 0.8401 0.4264 Gd
0.8495 0.8358 0.9237 Gd
0.9995 0.4985 0.2506 Fe
0.0005 0.5015 0.7494 Fe
0.1554 0.1589 0.8219 Fe
0.1554 0.6444 0.0779 Fe
0.1560 0.6486 0.5768 Fe
0.1575 0.1565 0.3250 Fe
0.2128 0.5011 0.3931 Fe
0.2152 0.7855 0.7491 Fe
0.2148 0.7857 0.2505 Fe
0.2166 0.4993 0.8916 Fe
0.3518 0.8422 0.4228 Fe
0.3545 0.8416 0.9217 Fe
0.4026 0.4039 0.2015 Fe
0.4037 0.4045 0.7009 Fe
0.4983 0.0007 0.7483 Fe
0.4993 0.7833 0.6073 Fe
0.4991 0.7862 0.1079 Fe
0.5000 0.5000 0.0000 Fe
0.5000 0.5000 0.5000 Fe
0.5009 0.2138 0.8921 Fe
0.5007 0.2167 0.3927 Fe
0.5017 0.9993 0.2517 Fe
0.5963 0.5955 0.2991 Fe
0.5974 0.5961 0.7985 Fe
0.6455 0.1584 0.0783 Fe
0.6482 0.1578 0.5772 Fe
0.7834 0.5007 0.1084 Fe
=====

The way you decide to distribute your press release will have a direct effect on its success. A good quality press release distributed in a few, perfect fit channels, will have a stronger returning effect, than dozens of publications on irrelevant channels.

  • Choose the most relevant news outlets
    • Make sure that the outlets where you are sending your press release to be published to have the same or very similar audience to what you are looking for.
  • Make sure that the used chosen channels are the most appropriate for the desired target audience
    • For example: usually, SME or large enterprise CEOs don’t have time to watch webinars, so it would not make sense sending an invitational webinar press release to a CEO-focused channel.

5. Publishers

Usually, the most challenging part of a press release is finding the publishers. Here is our main advice:

  • Even when your business doesn’t have an upcoming press release – make sure you always build connections with journalists and editors
    • Networking through Linkedin, during events or through shared connections
    • If someone in your network knows a good interesting journalist – ask for an introduction!
  • Make sure you get to know the publishers on a personal level – this will get your message to be better seen among other press release submissions
  • Offer something in return, if possible
    • Maybe you have a connection they would want to write an article about?
    • Maybe there is an upcoming event organised by you that they would want exclusive rights to?
  • Make sure you chose WHEN AND HOW you reach out
    • Best days for reaching out to publishers are Tuesdays and Thursdays
    • Be polite, not too pushy, and your email subject line is catchy
    • All of the information attached is correct, and you are always available if they reach out:
      • Common industry mistake: sending out a press release with no contact details/contact details of an employee who is on holiday. If a publisher reaches out and gets no response – that is an opportunity lost.

    To help you kick-off your publisher network, we have combined some of the best IT and Tech journalists and editors information*.

    *All contact information was found through publicly accessible online sources.


    PR for IT companies can be described as a combination of strategy and art. Any business must find the middle ground where their ideas are not too dry as well as not too extensive – basically, realise the exact location of that catchy golden spot.

    Cloudsuppliers has years of experience in the field of press releases, so our PR experts are sharing their most valuable advice for a successful press release. We will be focusing not only on tips and tricks for your press releases but also on your potential list of useful PR contacts – this is pretty rare across similar guides!

    Cloudsuppliers can help you with all stages of PR and Marketing for your product or service. Whether it is an announcement, an important update or an interesting event, we are always here for you, holding years of experience in IT.

    Contact us today, call +31 2 320 145 00 (extension 200) or mail!